Harry Scott Elliott – Night Of The Blue Moon
5th August 2019I must confess, I’m familiar with Harry due to him being the lead guitarist in Kane’d. I’m guilty (as I’m sure a few others are) of watching Kane’d live and wondering what Harry would be capable of producing if he was not constrained by a band.
Night Of The Blue Moon kicks off with Chill Bro. A moody track with congas, a gorgeous warm guitar tone and a lick that’s reminiscent of a Passion and Warfare era Steve Vai.
The warm tone continues through the album and it’s delicious. His guitar was literally just plugged into a Boss GT100 with the settings messed around as his usual Engl was in the shop being fixed.
As for the guitar, the lucky bugger has a Caparison sponsor (who have an amazing roster of artists). It’s a simple yet effective setup and the guitar sounds amazing.
The title track Night Of The Blue Moon leads seamlessly into Trapped In a Melody, which features Chez Kane (of Kane’d) vocal refrain of the title along with Chris Green (guitarist of Tyketto) trading lead licks with Harry. I’ve not heard a paring like this since Friedman and Becker in Cacophony (I’m now wondering what an instrumental album with Green and Elliott would be like)
Don’t hurt me Penny Traitor is very much a Flying In a Blue Dream homage to Satriani.
Psycho Circus Monkey features Jimi Bell (House Of Lords guitarist) trading licks with Harry and it’s a beautiful thing and it’s no wonder it’s the lead track from the record..
Suck This samples Harrys hoover of all things (proof that you don’t need a Makita endorsement to achieve the same effect as a drill). It provides a real funky backbeat. Coupled with whammy neck slides sounds fabulous along with the electronic drum sound.
Clap Along To This makes Devin Townsend seem normal. So many different and interesting time signatures packed into a track lasting less than 2 minutes is simply infuckinsane. It’s my favorite track on the album.
The Meat Eating Vegetable has a brilliant fun groove that got my foot tapping and head nodding.
Finally there’s Cloud Eight and Nine Tenths that appears to pay homage to the Flying In a Blue Dream era Joe Satriani.
There are so many nods to so many different guitar players which makes this album an amazing listen and will have you going back through your archives to listen to that player.
Admittedly this instrumental album isn’t breaking any new ground or molds. What it is doing is paying homage to an era of guitar instrumental albums that a new generation is finally beginning to discover. And for an old c**t like me it’s simply brilliant. I am in man love with this record.
It’s only ONCE in a blue moon that a guitarist of this caliber bursts onto the scene and throw their hat into the ring and Harry Scott Elliott has done that with Night Of The Blue Moon.
Score 8/10
Track List
Chill Bro
Night Of The Blue Moon
Trapped In A Melody
Don’t Hurt Me Penny Traitor
Psycho Circus Monkey
Suck This!
=====
Density functional theory data (GGA-PBE) for LiThPd4 after structural relaxation.

Summary:
Its space group is Cmc2_1 (36). Its formation energy is -594 meV/atom. The density of states at the Fermi level is 0.36 states/eV per atom. The calculation puts the polymorph energy (0 for the lowest one) at 0.056 eV per atom. For the electronic total energy, the calculation gives -33.67 eV/f.u.

a = 4.0027 Å, b = 6.7758 Å, c = 8.1884 Å
α = 90.00°, β = 104.15°, γ = 90.00°
Closest atoms and distances in Å follow each position.
Fractional positions:
Li 0.6775 0.8561 0.3550  4 Pd 2.42-2.63
Li 0.3225 0.3561 0.6450  4 Pd 2.42-2.63
Th 0.8923 0.7157 0.7846  7 Pd 2.86-3.03
Th 0.1077 0.2157 0.2154  7 Pd 2.86-3.03
Pd 0.9277 0.2138 0.8554  2 Li 2.78, 7 Pd 2.84-2.90, 1 Th 2.86
Pd 0.0723 0.7138 0.1446  2 Li 2.78, 7 Pd 2.84-2.90, 1 Th 2.86
Pd 0.5147 0.9799 0.0294  1 Li 2.72, 5 Pd 2.77-2.90, 2 Th 2.96
Pd 0.4853 0.4799 0.9706  1 Li 2.72, 5 Pd 2.77-2.90, 2 Th 2.96
Pd 0.6593 0.4972 0.3186  1 Li 2.45, 3 Pd 2.64-2.74
Pd 0.3407 0.9972 0.6814  1 Li 2.45, 3 Pd 2.64-2.74
Pd 0.7496 0.1708 0.4992  3 Li 2.42-2.63, 1 Pd 2.64
Pd 0.2504 0.6708 0.5008  3 Li 2.42-2.63, 1 Pd 2.64

~~~~~

## Ac2Pm7Sm4 (PBE)

Data for Ac2Pm7Sm4 after structural relaxation.

Summary:
Raw total energy ... -4.47 eV per atom
Total magnetization ... 0.00 μB per formula unit
DOS(E_F) ... 1.40 states/eV/atom
Crystal system ... trigonal
Space group ... P-31m

Unit cell a=6.3396 b=6.3396 c=13.4731 alpha=90.00 beta=90.00 gamma=120.00
Sites, in units of the cell vectors:
Ac 0.3333 0.6667 0.0000
Ac 0.6667 0.3333 0.0000
Pm 0.0000 0.0000 0.0000
Pm 0.0000 0.3670 0.7757
Pm 0.0000 0.6330 0.2243
Pm 0.3670 0.0000 0.7757
Pm 0.3670 0.3670 0.2243
Pm 0.6330 0.0000 0.2243
Pm 0.6330 0.6330 0.7757
Sm 0.0000 0.0000 0.3935
=====
Clap Along
The Meat Eating Vegetable
Cloud Eight and Nine Tenths
Release Date
31st July 2019
Ryka Music